Friday, October 10, 2014

Hallmarks Part III: Proactivity, Grouping, and Materials

So these are the last of the hallmarks, hopefully you’ve found something you can improve in your teaching as I have for mine. I like these last three because they relate fairly well to planning more with your students and the environment that they are in.

# Records of crystals, as found in the file
┌──
The following is a theoretical X-ray diffraction stick pattern of Na4ThMo4O16. It was derived from a structure optimized by DFT (GGA+U), using λ = 1.5418 Å (Cu Kα).
Peak positions follow from Bragg's law for the DFT cell and can differ from measured ones.

Atomic structure:
```
data_Na4ThMo4O16
_space_group_name_H-M_alt 'I 41/a'
_space_group_IT_number 88
_cell_length_a 11.6050
_cell_length_b 11.6050
_cell_length_c 12.0377
_cell_angle_alpha 90.00
_cell_angle_beta 90.00
_cell_angle_gamma 90.00
loop_
_space_group_symop_operation_xyz
'x,y,z'
'-x,-y,-z'
'-y+3/4,x+1/4,z+1/4'
'y+3/4,-x+1/4,-z+1/4'
'-x+1/2,-y,z+1/2'
'x+1/2,y,-z+1/2'
'y+3/4,-x+3/4,z+3/4'
'-y+3/4,x+3/4,-z+3/4'
'x+1/2,y+1/2,z+1/2'
'-x+1/2,-y+1/2,-z+1/2'
'-y+1/4,x+3/4,z+3/4'
'y+1/4,-x+3/4,-z+3/4'
'-x,-y+1/2,z'
'x,y+1/2,-z'
'y+1/4,-x+1/4,z+1/4'
'-y+1/4,x+1/4,-z+1/4'
loop_
_atom_site_label
_atom_site_type_symbol
_atom_site_fract_x
_atom_site_fract_y
_atom_site_fract_z
_atom_site_occupancy
Na1 Na 0.1201 0.0304 0.3439 1
Th1 Th 0.0000 0.2500 0.1250 1
Mo1 Mo 0.0902 0.0698 0.8668 1
O1 O 0.0414 0.4081 0.7967 1
O2 O 0.0602 0.3610 0.2862 1
O3 O 0.0876 0.4279 0.0627 1
O4 O 0.1752 0.4552 0.4796 1
```

Principal peaks in the range 10° ≤ 2θ ≤ 80°, in order of rising 2θ:
8.355 Å, rel. 100, (1 0 1)
4.766 Å, rel. 31, (1 2 1)
3.792 Å, rel. 17, (1 0 3)
3.683 Å, rel. 30, (3 0 1)
3.174 Å, rel. 13, (1 2 3)
3.133 Å, rel. 100, (1 3 2)
3.109 Å, rel. 17, (3 2 1)
3.009 Å, rel. 14, (0 0 4)
2.595 Å, rel. 16, (4 2 0)
1.965 Å, rel. 25, (4 2 4)
1.760 Å, rel. 15, (1 3 6)
1.583 Å, rel. 18, (7 1 2)

=====

# CrN2
Simulated powder X-ray diffraction pattern, Cu Kα, 1.54184 Å. Input: a cell relaxed with GGA-PBE.

Top 10 peaks for 10 to 90 degrees two-theta, sorted by position:
hkl 1 1 0, 2θ 27.12, intensity 100
hkl 2 0 0, 2θ 38.72, intensity 12
hkl 1 0 1, 2θ 39.10, intensity 47
hkl 1 1 1, 2θ 43.85, intensity 8
hkl 2 2 0, 2θ 55.92, intensity 17
hkl 2 1 1, 2θ 56.20, intensity 48
hkl 3 1 0, 2θ 63.23, intensity 11
hkl 3 0 1, 2θ 70.34, intensity 16
hkl 1 1 2, 2θ 77.63, intensity 7
hkl 3 2 1, 2θ 83.30, intensity 6

Crystal structure
Lattice parameters (Å, degrees): 4.6507 4.6507 2.6524 90.00 90.00 90.00
Positions (direct):
Cr: 0.0000 0.0000 0.0000
Cr: 0.5000 0.5000 0.5000
N: 0.2010 0.2010 0.5000
N: 0.2990 0.7010 0.0000
N: 0.7010 0.2990 0.0000
N: 0.7990 0.7990 0.5000
└──
# The entry goes on

Hallmark #7: Proactive thinking and planning for different pathways.

As a teacher many of you know that you need to think on your feet.
Yes there is planning involved (hopefully), but there are things that come up that make us rearrange how and what we were going to teach. Being proactive helps us to try and foresee those problems and plan for them. If we are constantly assessing our students and we know them so well we can be proactive in planning for any hiccups that may arise when we teach. We also need to plan any different pathways we may foresee with any of our students

Hallmark #8: Flexible Grouping:

We as teachers are grouping our students into many different groups academically most of the time. What if you found different ways to group them? Students begin to recognize after
a while what kind of group they're in. They know whether they are in the advanced or struggling group. So with the hallmarks there is a way to group them on various different things. You can group them for interests, readiness, process, and products. The way you group your students can be random. It could be as easy as saying those who have brown eyes and brown hair are in one group.

(1)
The following is a calculated X-ray powder pattern of Rb2Dy4Cu4Te9. It was derived from a DFT-relaxed cell (PBE, OQMD), using Cu Kα X-rays.
Neutral-atom scattering factors, no anomalous dispersion.

Cell and atoms:
```
Rb2Dy4Cu4Te9
1.0
7.7016 -2.1945 0.0000
7.7016 2.1945 0.0000
-5.5502 0.0000 16.7538
Rb Dy Cu Te
2 4 4 9
Cartesian
-0.9868 0.0000 4.5880
10.8398 0.0000 12.1658
2.9512 0.0000 1.6771
2.8680 0.0000 7.4155
6.9851 0.0000 9.3384
6.9019 0.0000 15.0767
-0.3187 0.0000 12.2916
6.3483 0.0000 0.3745
3.5048 0.0000 16.3793
10.1718 0.0000 4.4623
-2.7751 0.0000 8.3769
-3.0484 0.0000 15.4278
1.2637 0.0000 10.1079
3.8975 0.0000 4.5787
1.3028 0.0000 14.5623
8.5503 0.0000 2.1915
5.9556 0.0000 12.1751
8.5893 0.0000 6.6459
12.9015 0.0000 1.3260
```

Most intense lines, 2θ = 10–90°, low angle first:
2θ/deg  Rel. int.
12.11  66
25.52  47
26.72  74
27.17  100
27.34  57
28.65  50
28.97  76
31.46  46
38.99  43
41.13  86

(2)
The following is a calculated X-ray powder pattern of MgTcPO. It was derived from a DFT-relaxed cell (PBE, OQMD), using Cu Kα X-rays.
Neutral-atom scattering factors, no anomalous dispersion.

Cell and atoms:
```
MgTcPO
1.0
3.9820 0.0000 0.0000
0.0000 3.9820 0.0000
0.0000 0.0000 8.4222
Mg Tc P O
2 2 2 2
Cartesian
0.9955 0.9955 0.0986
2.9865 2.9865 8.3236
0.9955 2.9865 4.2111
2.9865 0.9955 4.2111
0.9955 0.9955 5.4581
2.9865 2.9865 2.9640
0.9955 2.9865 0.0000
2.9865 0.9955 0.0000
```

Most intense lines, 2θ = 10–90°, low angle first:
2θ/deg  Rel. int.
10.50  100
21.10  67
31.79  11
33.56  37
38.46  30
45.60  62
50.72  23
54.42  15
64.43  16
84.29  12

Please write out number 1 again, unchanged.
The following is a calculated X-ray powder pattern of Rb2Dy4Cu4Te9. It was derived from a DFT-relaxed cell (PBE, OQMD), using Cu Kα X-rays.
Neutral-atom scattering factors, no anomalous dispersion.

Cell and atoms:
```
Rb2Dy4Cu4Te9
1.0
7.7016 -2.1945 0.0000
7.7016 2.1945 0.0000
-5.5502 0.0000 16.7538
Rb Dy Cu Te
2 4 4 9
Cartesian
-0.9868 0.0000 4.5880
10.8398 0.0000 12.1658
2.9512 0.0000 1.6771
2.8680 0.0000 7.4155
6.9851 0.0000 9.3384
6.9019 0.0000 15.0767
-0.3187 0.0000 12.2916
6.3483 0.0000 0.3745
3.5048 0.0000 16.3793
10.1718 0.0000 4.4623
-2.7751 0.0000 8.3769
-3.0484 0.0000 15.4278
1.2637 0.0000 10.1079
3.8975 0.0000 4.5787
1.3028 0.0000 14.5623
8.5503 0.0000 2.1915
5.9556 0.0000 12.1751
8.5893 0.0000 6.6459
12.9015 0.0000 1.3260
```

Most intense lines, 2θ = 10–90°, low angle first:
2θ/deg  Rel. int.
12.11  66
25.52  47
26.72  74
27.17  100
27.34  57
28.65  50
28.97  76
31.46  46
38.99  43
41.13  86

> What is the formula in the second record?

MgTcPO

~~~~~

Starting from DFT lattice parameters and positions (GGA-PBE), the X-ray powder pattern of Tb3Pm2PrY6 was calculated for Cu Kα (weighted mean of Kα1 and Kα2).
No peak broadening, texture or thermal motion is included.

Largest 8 diffraction maxima, low angle first, 2θ from 10° to 90°:
2.936 Å, I = 100
2.921 Å, I = 33
2.539 Å, I = 67
1.799 Å, I = 24
1.792 Å, I = 23
1.533 Å, I = 23
(The article goes on)

Hallmark #9: Flexible use of time, space, and materials. 

This hallmark is all about the extra work that the teacher is willing to put into gathering materials needed to help students understand a concept. There are a lot websites that have tons of different worksheets to help students demonstrate the knowledge that they have, but you need t determine which worksheets are really good and will benefit their students in the best ways. Also the way you set up your classroom plays a
big part in differentiating for your students. Every class you have will be different in the needs that they have. Some classes may need more group seating assignments verse single seats or partners. Some may need partnerships or some may not work well in group seating assignments at all. Make sure that your students are aware of the items in their classroom that can help them in the subjects that you're teaching. This also ties back into grouping. Allow students to be in groups with others throughout the school year just by changing the seating arrangement and having several different groups.

These hallmarks give you a glance into how you can use your classroom environment and the students alone to help differentiate for each and everyone of them. When you're classroom is set up to allow for students to feel like it's part of their classroom, they will take part in their education. I know I've said this before, but I really feel that all of these things together can really help each of your students grow to meet their OWN personal potential. It's so important for kids to know you WANT them to succeed at their pace and not yours! Yes as teachers our "goal" is to get everyone to where they should be by the end of the year and that's a lot of information they've got to know! If we try and force all of the curriculum down their throat instead of really trying to identify how to best teach them we are missing the point of educating children. So I hope you've learned more about how to differentiate more for your classroom. I know that a good teacher does some of these, but a great teacher who differentiates does all of these! 

Here are some websites to help with pro-activity, grouping, and materials:
Ways to Group Students
Flexible Grouping
Proactive Teacher for Classroom Behaviors
Teaching Tips for being Proactive
Differentiated Worksheets
Differentiated Materials


  1. ... and you will be one of those "great teachers who differentiate" -- I just know it!

  2. I really liked learning about the different hallmarks. While we each picked the ones we thought were important they are all important when trying to have a differentiated classroom.
